Work order.
Work out how many lines below have the word "Alexandria" in them; a number is enough.

Listing.
<<<
w:
The following is a PBE-GGA calculation of a relaxed structure of Nd2Sm2Rh3, from Alexandria.

Unit cell a=7.637 b=7.637 c=7.637 alpha=109.47 beta=109.47 gamma=109.47
Fractional coordinates of all 14 atoms:
Sm 0.383 0.500 0.000
Sm 0.117 0.617 0.617
Sm 0.000 0.000 0.883
Sm 0.500 0.883 0.500
Rh 0.750 0.638 0.388
Rh 0.138 0.388 0.250
Rh 0.612 0.750 0.862
Rh 0.250 0.862 0.112
Rh 0.362 0.112 0.750
Rh 0.888 0.250 0.638
Nd 0.622 0.122 0.122
Nd 0.500 0.378 0.500
Nd 0.878 0.500 0.000
Nd 0.000 0.000 0.378

Calculated values
- D(E_F) (states/eV per cell) = 9.4
- space group = I2_13

=====

x:
The following is a PBE-GGA calculation of a relaxed structure of Nd2Sm2Rh3, from Alexandria.

Unit cell a=4.184 b=6.913 c=7.075 alpha=99.03 beta=89.92 gamma=107.66
Fractional coordinates of all 7 atoms:
Sm 0.372 0.746 0.107
Sm 0.628 0.254 0.893
Rh 0.760 0.524 0.256
Rh 0.240 0.476 0.744
Rh 0.000 0.000 0.000
Nd 0.132 0.266 0.363
Nd 0.868 0.734 0.637

Calculated values
- D(E_F) (states/eV per cell) = 3.9
- space group = P-1

=====

Most stable structure - w; separation to the second - 83 meV/atom.

=====

w:
The following is a PBE-GGA calculation of a relaxed structure of NdSmTlRh, from Alexandria.

Unit cell a=5.250 b=5.250 c=5.250 alpha=60.00 beta=60.00 gamma=60.00
Fractional coordinates of all 4 atoms:
Tl 0.000 0.000 0.000
Nd 0.750 0.750 0.750
Rh 0.500 0.500 0.500
Sm 0.250 0.250 0.250

Calculated values
- D(E_F) (states/eV per cell) = 3.4
- space group = F-43m

=====

x:
The following is a PBE-GGA calculation of a relaxed structure of NdSmTlRh, from Alexandria.

Unit cell a=3.580 b=3.580 c=8.012 alpha=90.00 beta=90.00 gamma=90.00
Fractional coordinates of all 4 atoms:
Nd 0.500 0.500 0.784
Rh 0.000 0.000 0.565
Sm 0.500 0.500 0.360
Tl 0.000 0.000 0.076

Calculated values
- D(E_F) (states/eV per cell) = 3.5
- space group = P4mm

=====

Most stable structure - x; separation to the second - 119 meV/atom.

=====

w:
The following is a PBE-GGA calculation of a relaxed structure of NdSnRh4, from Alexandria.

Unit cell a=4.134 b=7.053 c=7.627 alpha=90.00 beta=90.00 gamma=90.00
Fractional coordinates of all 12 atoms:
Rh 0.500 0.036 0.250
Rh 0.500 0.700 0.037
Rh 0.500 0.300 0.537
Rh 0.500 0.700 0.463
Rh 0.000 0.000 0.500
Rh 0.000 0.000 0.000
Rh 0.500 0.300 0.963
Rh 0.500 0.964 0.750
Sn 0.000 0.755 0.250
Sn 0.000 0.245 0.750
Nd 0.000 0.325 0.250
Nd 0.000 0.675 0.750

Calculated values
- D(E_F) (states/eV per cell) = 12.8
- space group = Pmma

=====

x:
The following is a PBE-GGA calculation of a relaxed structure of NdSnRh4, from Alexandria.

Unit cell a=5.341 b=5.341 c=5.341 alpha=60.00 beta=60.00 gamma=60.00
Fractional coordinates of all 6 atoms:
Rh 0.122 0.626 0.626
Rh 0.626 0.122 0.626
Rh 0.626 0.626 0.122
Rh 0.626 0.626 0.626
Sn 0.000 0.000 0.000
Nd 0.250 0.250 0.250

Calculated values
- D(E_F) (states/eV per cell) = 5.2
- space group = F-43m

=====

Most stable structure - x; separation to the second - 147 meV/atom.

=====

w:
The following is a PBE-GGA calculation of a relaxed structure of Nd3Sn4Rh2, from Alexandria.

Unit cell a=4.638 b=6.235 c=9.285 alpha=66.32 beta=75.54 gamma=68.17
Fractional coordinates of all 9 atoms:
Sn 0.912 0.783 0.392
Sn 0.294 0.332 0.079
Sn 0.706 0.668 0.921
Sn 0.088 0.217 0.608
Nd 0.000 0.000 0.000
Nd 0.631 0.425 0.313
Nd 0.369 0.575 0.687
Rh 0.305 0.011 0.379
Rh 0.695 0.989 0.621

Calculated values
- D(E_F) (states/eV per cell) = 5.2
- space group = C2/m

=====

x:
The following is a PBE-GGA calculation of a relaxed structure of Nd3Sn4Rh2, from Alexandria.

Unit cell a=4.493 b=6.097 c=9.057 alpha=100.13 beta=90.00 gamma=111.62
Fractional coordinates of all 9 atoms:
Sn 0.919 0.837 0.341
Sn 0.303 0.607 0.923
Sn 0.697 0.393 0.077
Sn 0.081 0.163 0.659
Nd 0.630 0.260 0.393
Nd 0.000 0.000 0.000
Nd 0.370 0.740 0.607
Rh 0.306 0.611 0.228
Rh 0.694 0.389 0.772

Calculated values
- D(E_F) (states/eV per cell) = 6.6
- space group = C2/m

=====

Most stable structure - w; separation to the second - 106 meV/atom.

=====

w:
>>>

Reply.
8